Job
Transcribe the block below character by character.
Entries
<<<
Entry 1:
Below is a relaxed structure of Ta4Te8Pb, with properties calculated at the PBE level.

Structure (extended XYZ):
```
13
Lattice="6.493 0.000 -3.503 -4.191 6.071 0.000 0.996 0.688 9.615" Properties=species:S:1:pos:R:3 pbc="T T T"
Te -0.150 2.146 7.491
Te -2.238 5.171 7.491
Te 0.198 4.619 0.367
Te 3.099 2.140 5.745
Te 5.536 1.588 -1.379
Te 2.300 1.588 0.366
Te 3.447 4.613 -1.380
Te 0.997 5.171 5.745
Ta 0.000 0.000 0.000
Ta 1.151 3.035 -1.752
Ta 3.246 0.000 -1.751
Ta 5.393 3.723 6.112
Pb -1.598 3.380 4.807
```

DOS at the Fermi energy, states/eV/cell: 8.3
Density, g/cm³: 7.899
Formation energy (no corrections), eV per atom: -0.227

Entry 2:
Below is a relaxed structure of Ta2TePb, with properties calculated at the PBE level.

Structure (extended XYZ):
```
4
Lattice="3.499 0.000 0.000 0.000 3.499 0.000 0.000 0.000 7.946" Properties=species:S:1:pos:R:3 pbc="T T T"
Pb 1.750 1.750 6.470
Te 0.000 0.000 3.327
Ta 1.750 1.750 1.782
Ta 0.000 0.000 0.340
```

DOS at the Fermi energy, states/eV/cell: 1.9
Density, g/cm³: 11.890
Formation energy (no corrections), eV per atom: 0.074

Entry 3:
Below is a relaxed structure of TaTePb, with properties calculated at the PBE level.

Structure (extended XYZ):
```
3
Lattice="3.500 0.000 0.000 -1.750 3.031 0.000 0.000 0.000 7.329" Properties=species:S:1:pos:R:3 pbc="T T T"
Te 0.000 2.021 4.473
Pb 0.000 0.000 0.261
Ta 1.750 1.010 2.596
```

DOS at the Fermi energy, states/eV/cell: 1.9
Density, g/cm³: 11.015
Formation energy (no corrections), eV per atom: 0.093

Entry 4:
Below is a relaxed structure of Ta2TePb, with properties calculated at the PBE level.

Structure (extended XYZ):
```
4
Lattice="-1.788 -2.298 4.216 1.473 -1.629 4.629 -1.349 4.375 3.560" Properties=species:S:1:pos:R:3 pbc="T T T"
Ta -0.080 0.260 0.212
Ta -0.752 -0.036 5.990
Pb -1.248 0.336 9.303
Te -0.416 0.112 3.101
```

DOS at the Fermi energy, states/eV/cell: 3.6
Density, g/cm³: 12.731
Formation energy (no corrections), eV per atom: 0.548

Entry 5:
Below is a relaxed structure of TaTe2Pb, with properties calculated at the PBE level.

Structure (extended XYZ):
```
4
Lattice="-9.166 -4.317 -2.859 -7.586 -7.136 -1.537 -9.282 -4.933 0.576" Properties=species:S:1:pos:R:3 pbc="T T T"
Te -6.227 -3.919 -0.914
Te -0.553 -0.348 -0.081
Pb -12.765 -8.034 -1.873
Ta -19.508 -12.278 -2.862
```

DOS at the Fermi energy, states/eV/cell: 1.8
Density, g/cm³: 9.792
Formation energy (no corrections), eV per atom: 0.144

Entry 6:
Below is a relaxed structure of Ta2TePb, with properties calculated at the PBE level.

Structure (extended XYZ):
```
8
Lattice="4.303 0.000 0.000 0.000 4.303 0.000 2.152 2.152 10.101" Properties=species:S:1:pos:R:3 pbc="T T T"
Te 2.152 4.303 5.051
Te 2.152 2.152 0.000
Ta 5.379 5.328 7.576
Ta 3.227 3.278 7.576
Ta 1.127 3.227 2.525
Ta 3.176 1.076 2.525
Pb 4.303 2.152 5.051
Pb 0.000 0.000 0.000
```

DOS at the Fermi energy, states/eV/cell: 4.4
Density, g/cm³: 12.370
Formation energy (no corrections), eV per atom: 0.748

=====

This record from the Alexandria database describes Fe4Ni12W after structural relaxation. The functional is PBE.

The structure belongs to space group Im-3m (No. 229); the cell edges are 7.4440, 7.4440 and 7.4440 Å and the angles 90.00°, 90.00° and 90.00°. Symmetry generates all atoms from Fe at (0.2500, 0.2500, 0.2500), Ni at (0.0000, 0.0000, 0.3072), Ni at (0.0000, 0.2500, 0.5000) and W at (0.0000, 0.0000, 0.0000).

The raw total energy is -225.30 eV for the cell shown. The value obtained for the formation enthalpy at 0 K is 3.5 eV/f.u. Its density of states at the Fermi level is 14.4 states/eV/f.u. The value obtained for the total moment is 16.33 μB per formula unit.


This record from the Alexandria database describes KFe2TcW after structural relaxation. The functional is PBE.
>>>
Written answer
Entry 1:
Below is a relaxed structure of Ta4Te8Pb, with properties calculated at the PBE level.

Structure (extended XYZ):
```
13
Lattice="6.493 0.000 -3.503 -4.191 6.071 0.000 0.996 0.688 9.615" Properties=species:S:1:pos:R:3 pbc="T T T"
Te -0.150 2.146 7.491
Te -2.238 5.171 7.491
Te 0.198 4.619 0.367
Te 3.099 2.140 5.745
Te 5.536 1.588 -1.379
Te 2.300 1.588 0.366
Te 3.447 4.613 -1.380
Te 0.997 5.171 5.745
Ta 0.000 0.000 0.000
Ta 1.151 3.035 -1.752
Ta 3.246 0.000 -1.751
Ta 5.393 3.723 6.112
Pb -1.598 3.380 4.807
```

DOS at the Fermi energy, states/eV/cell: 8.3
Density, g/cm³: 7.899
Formation energy (no corrections), eV per atom: -0.227

Entry 2:
Below is a relaxed structure of Ta2TePb, with properties calculated at the PBE level.

Structure (extended XYZ):
```
4
Lattice="3.499 0.000 0.000 0.000 3.499 0.000 0.000 0.000 7.946" Properties=species:S:1:pos:R:3 pbc="T T T"
Pb 1.750 1.750 6.470
Te 0.000 0.000 3.327
Ta 1.750 1.750 1.782
Ta 0.000 0.000 0.340
```

DOS at the Fermi energy, states/eV/cell: 1.9
Density, g/cm³: 11.890
Formation energy (no corrections), eV per atom: 0.074

Entry 3:
Below is a relaxed structure of TaTePb, with properties calculated at the PBE level.

Structure (extended XYZ):
```
3
Lattice="3.500 0.000 0.000 -1.750 3.031 0.000 0.000 0.000 7.329" Properties=species:S:1:pos:R:3 pbc="T T T"
Te 0.000 2.021 4.473
Pb 0.000 0.000 0.261
Ta 1.750 1.010 2.596
```

DOS at the Fermi energy, states/eV/cell: 1.9
Density, g/cm³: 11.015
Formation energy (no corrections), eV per atom: 0.093

Entry 4:
Below is a relaxed structure of Ta2TePb, with properties calculated at the PBE level.

Structure (extended XYZ):
```
4
Lattice="-1.788 -2.298 4.216 1.473 -1.629 4.629 -1.349 4.375 3.560" Properties=species:S:1:pos:R:3 pbc="T T T"
Ta -0.080 0.260 0.212
Ta -0.752 -0.036 5.990
Pb -1.248 0.336 9.303
Te -0.416 0.112 3.101
```

DOS at the Fermi energy, states/eV/cell: 3.6
Density, g/cm³: 12.731
Formation energy (no corrections), eV per atom: 0.548

Entry 5:
Below is a relaxed structure of TaTe2Pb, with properties calculated at the PBE level.

Structure (extended XYZ):
```
4
Lattice="-9.166 -4.317 -2.859 -7.586 -7.136 -1.537 -9.282 -4.933 0.576" Properties=species:S:1:pos:R:3 pbc="T T T"
Te -6.227 -3.919 -0.914
Te -0.553 -0.348 -0.081
Pb -12.765 -8.034 -1.873
Ta -19.508 -12.278 -2.862
```

DOS at the Fermi energy, states/eV/cell: 1.8
Density, g/cm³: 9.792
Formation energy (no corrections), eV per atom: 0.144

Entry 6:
Below is a relaxed structure of Ta2TePb, with properties calculated at the PBE level.

Structure (extended XYZ):
```
8
Lattice="4.303 0.000 0.000 0.000 4.303 0.000 2.152 2.152 10.101" Properties=species:S:1:pos:R:3 pbc="T T T"
Te 2.152 4.303 5.051
Te 2.152 2.152 0.000
Ta 5.379 5.328 7.576
Ta 3.227 3.278 7.576
Ta 1.127 3.227 2.525
Ta 3.176 1.076 2.525
Pb 4.303 2.152 5.051
Pb 0.000 0.000 0.000
```

DOS at the Fermi energy, states/eV/cell: 4.4
Density, g/cm³: 12.370
Formation energy (no corrections), eV per atom: 0.748

=====

This record from the Alexandria database describes Fe4Ni12W after structural relaxation. The functional is PBE.

The structure belongs to space group Im-3m (No. 229); the cell edges are 7.4440, 7.4440 and 7.4440 Å and the angles 90.00°, 90.00° and 90.00°. Symmetry generates all atoms from Fe at (0.2500, 0.2500, 0.2500), Ni at (0.0000, 0.0000, 0.3072), Ni at (0.0000, 0.2500, 0.5000) and W at (0.0000, 0.0000, 0.0000).

The raw total energy is -225.30 eV for the cell shown. The value obtained for the formation enthalpy at 0 K is 3.5 eV/f.u. Its density of states at the Fermi level is 14.4 states/eV/f.u. The value obtained for the total moment is 16.33 μB per formula unit.


This record from the Alexandria database describes KFe2TcW after structural relaxation. The functional is PBE.